they/them && ❤️🧡💛💚💙💜

  • 1 Post
Joined 1 year ago
Cake day: June 19th, 2023


  • I’m alright at written arguments when I can take my time and rewrite and make different multidimensional bullet-point lists and tables, but I can’t organize ideas or comprehend let alone create arguments verbally. This has led me to believe I’m far below average in terms of verbal sparring. Maybe 25th percentile at most.

    I don’t do too wonderful remembering things people are saying either, especially in emotionally charged situations like arguments with loved ones. I have to write things to mention down beforehand and write specific actionable items to consider them resolved. I do well in academic lectures only because I take very good notes (not exhaustive; I paraphrase and use inside jokes to remember). I think I’m far below average there too, so for auditory processing maybe. I do my best to practice this by listening to podcasts and YouTubers without subtitles. I often have to rewind 5 or 10 seconds, but I’m getting better, I think. I’m probably around 40th percentile here.

    I think I’m better than average at putting ideas into words, maybe 60th or 70th percentile. Unfortunately, that skill is made obsolete by ChatGPT and similar. (I’m not an “AI” evangelist; I just recognize that it is better than me at the common task of using English grammar patterns to make something that sounds plausible out of a list of bullet points and fragmented ideas.)

    I think I’m maybe better than average at using search engines and reading manuals to figure out how things work. I learned everything I know about credit cards, CDs, stocks, 401ks, and Roth IRAs from various sources on the interwebs as well as from reading the fine print on the contracts I signed. Maybe 70th percentile.

    As a bonus, I’m pretty good at inventing harmony lines to songs. That comes in helpful for songs I cover/write.

  • Disclaimer: I make curry from premade pastes and blocks, not from scratch. I don’t love cooking that much, haha.

┌──
For Li3Mn2Si2O8, DFT lattice parameters and positions (PBE+U) gives the computed XRD peak list in this record (Cu Kα, 1.54184 Å).

Structure:
a b c (Å): 6.734 5.108 10.544
angles (deg): 90.00 90.34 90.00
Sites, in units of the cell vectors:
Li  0.000  0.041  0.000
Li  0.000  0.959  0.500
Li  0.251  0.437  0.916
Li  0.251  0.563  0.416
Li  0.742  0.053  0.235
Li  0.742  0.947  0.735
Mn  0.254  0.059  0.238
Mn  0.254  0.941  0.738
Mn  0.741  0.449  0.915
Mn  0.741  0.551  0.415
Si  0.494  0.067  0.489
Si  0.494  0.933  0.989
Si  0.996  0.448  0.667
Si  0.996  0.552  0.167
O  0.196  0.446  0.239
O  0.196  0.554  0.739
O  0.286  0.052  0.926
O  0.286  0.948  0.426
O  0.493  0.385  0.460
O  0.493  0.615  0.960
O  0.501  0.012  0.641
O  0.501  0.988  0.141
O  0.699  0.054  0.923
O  0.699  0.946  0.423
O  0.803  0.432  0.242
O  0.803  0.568  0.742
O  0.992  0.445  0.017
O  0.992  0.555  0.517
O  0.994  0.124  0.669
O  0.994  0.876  0.169

Largest 12 diffraction maxima, sorted by position, 2θ = 5–70°:
| two_theta | I/Imax |
| --- | --- |
| 21.34 | 53 |
| 21.47 | 44 |
| 21.84 | 100 |
| 23.42 | 15 |
| 27.71 | 20 |
| 31.44 | 21 |
| 31.62 | 26 |
| 32.97 | 18 |
| 34.01 | 34 |
| 35.13 | 45 |
| 41.51 | 13 |
| 54.51 | 16 |

----------

1.
Theoretical XRD peak list
Compound: Pb2O3
Radiation: a wavelength of 1.5418 Å
Structure: a DFT-relaxed cell (PBE, the Materials Project)
Kinematic intensities with the Lorentz-polarization factor, no thermal factor.

Structure:
Cell: 5.7186 8.4340 6.9687 Å, 90.00 93.18 90.00°
Atoms (fractional coordinates):
Pb 0.0000 0.0000 0.0000
Pb 0.0014 0.5000 0.5043
Pb 0.0043 0.5000 0.0009
Pb 0.4966 0.2504 0.2512
Pb 0.4966 0.7496 0.2512
Pb 0.5022 0.2505 0.7501
Pb 0.5022 0.7495 0.7501
Pb 0.9949 0.0000 0.5075
O 0.2402 0.2439 0.4876
O 0.2395 0.2527 0.9843
O 0.2395 0.7473 0.9843
O 0.2402 0.7561 0.4876
O 0.3782 0.5000 0.2523
O 0.4047 0.0000 0.7564
O 0.6055 0.0000 0.2507
O 0.6114 0.5000 0.7490
O 0.7577 0.2514 0.5096
O 0.7577 0.7486 0.5096
O 0.7585 0.2537 0.0168
O 0.7585 0.7463 0.0168

The 6 most intense peaks (2θ from 10° to 80°), in order of rising 2θ:
Position (°2θ)	I/Imax
26.27	100.0
29.31	43.2
30.83	40.4
31.33	29.9
33.39	45.7
52.78	34.8

***

2.
Theoretical XRD peak list
Compound: Na2Ti2O5
Radiation: a wavelength of 1.5418 Å
Structure: a DFT-relaxed cell (PBE, the Materials Project)
Kinematic intensities with the Lorentz-polarization factor, no thermal factor.

Structure:
Cell: 6.7200 5.5147 16.6158 Å, 90.00 90.00 90.00°
Atoms (fractional coordinates):
Na 0.0990 0.2152 0.0563
Na 0.0990 0.7848 0.5563
Na 0.4010 0.2848 0.5563
Na 0.4010 0.7152 0.0563
Na 0.5990 0.2848 0.9437
Na 0.5990 0.7152 0.4437
Na 0.9010 0.2152 0.4437
Na 0.9010 0.7848 0.9437
Ti 0.1037 0.2979 0.8498
Ti 0.1037 0.7021 0.3498
Ti 0.3963 0.2021 0.3498
Ti 0.3963 0.7979 0.8498
Ti 0.6037 0.2021 0.1502
Ti 0.6037 0.7979 0.6502
Ti 0.8963 0.2979 0.6502
Ti 0.8963 0.7021 0.1502
O 0.0000 0.2266 0.7500
O 0.0000 0.7734 0.2500
O 0.0607 0.2161 0.5724
O 0.0607 0.7839 0.0724
└──

    For Japanese curry from curry blocks: Boil hard vegetables and meat in water until they’re mostly cooked, then stir in some curry blocks and make them dissolve in the hot water. Add soft vegetables. Adjust thickness and saltiness. Done.

    For Thai curry from curry paste: Boil hard vegetables and meat in some coconut milk until mostly cooked, then mix in some curry paste and the rest of the coconut milk. Add soft vegetables. Adjust spiciness. Done.

    Hard vegetables (vegetables that are hard to overcook):

    • potato
    • onion
    • carrot
    • mushroom

    Soft vegetables:

    • zucchini
    • broccoli
    • cauliflower